
Collaboration Helps Broaden Access to Pfizers Contraceptive, Sayana Press

Broadening access to Pfizer’s all-in-one injectable contraceptive, Sayana® Press (medroxyprogesterone acetate), for women most in need in some of the world’s poorest countries.
Bilateral development organizations 2
Private Foundation or Development Organization 2
Technology 1
Intergovernmental Organizations and Multilaterals 1

To help broaden access to Pfizer’s all-in-one injectable contraceptive, Sayana® Press (medroxyprogesterone acetate), for women most in need in some of the world’s poorest countries.

The unmet need for contraception remains high. An estimated 214 million women in developing countries would like to delay or prevent pregnancy but are not using modern contraceptive method Common reasons for this include:

  • Limited access to contraception, particularly among young people, poorer segments of populations, or unmarried people
  • Cultural or religious opposition
  • Poor quality of available services
  • Users and providers bias
  • Gender-based barriers (i)

(i)… Accessed:  March 11th 2019.

Sayana Press combines a longer-acting, reversible contraceptive. This all-in-one prefilled, single- use, auto-disable system eliminates the need to prepare a needle and syringe. It also allows the contraceptive to be administered by a health worker outside of a clinical setting, or it can be self-injected if approved locally and after health care worker instruction.

These public- and private-sector donors and aid organizations play an important role to help ensure that women in the world’s poorest countries have access to a full range of contraceptive options. At the country level, the organizations also work with local governments with the goal of including modern contraceptives in reproductive health plans and budgets, coordinating health-worker trainings to improve quality counselling and services, and raising awareness about the availability of a variety of modern contraceptive options

Results and milestones

Between 2014 and 2022, more than 95 million units of Sayana Press were shipped to more than 40 developing world countries, potentially reaching more than 24 million women – up from 350,000 women at the end of 2014(ii).

[ii] Data on file at Pfizer Inc. Where a woman is assumed to have used 4 doses of the total units shipped in 2014; where each woman is assumed to have used 4 doses of the total number shipped (2014-2022).

Geographic Reach
  • Global Commitment
Disease Area
  • Women’s and Child Health
See Disease Areas
Target Population
  • Women
Partner organizations
Bilateral development organizations

UK Department for International Development (DFID)

(Next to the entry, the page also holds calculated crystals)
********
No. 1
# Na5Bi2AsC4O16

Na5Bi2AsC4O16 after structural relaxation (PBE, Materials Project).

Cell lengths 10.469, 10.470, 18.114 Å; angles 73.98, 73.21, 60.23 degrees
Space group P1 (No. 1)
One atom of each set of equivalent atoms:
Na 0.000 0.000 0.000 x1
Na 0.000 0.393 0.999 x1
Na 0.066 0.074 0.180 x1
Na 0.102 0.894 0.497 x1
Na 0.179 0.575 0.679 x1
Na 0.179 0.958 0.681 x1
Na 0.197 0.202 0.805 x1
Na 0.303 0.090 0.303 x1
Na 0.304 0.697 0.303 x1
Na 0.371 0.769 0.873 x1
Na 0.487 0.267 0.373 x1
Na 0.499 0.505 0.502 x1
Na 0.505 0.888 0.499 x1
Na 0.608 0.393 0.999 x1
Na 0.680 0.073 0.179 x1
Na 0.695 0.697 0.304 x1
Na 0.791 0.210 0.803 x1
Na 0.798 0.588 0.802 x1
Na 0.873 0.267 0.373 x1
Na 0.987 0.767 0.873 x1
Bi 0.085 0.492 0.338 x1
Bi 0.339 0.238 0.084 x1
Bi 0.342 0.229 0.589 x1
Bi 0.346 0.725 0.091 x1
Bi 0.585 0.993 0.838 x1
Bi 0.834 0.237 0.591 x1
Bi 0.834 0.733 0.587 x1
Bi 0.837 0.725 0.092 x1
As 0.278 0.669 0.776 x1
As 0.400 0.797 0.401 x1
As 0.777 0.170 0.276 x1
As 0.902 0.294 0.901 x1
C 0.008 0.784 0.198 x1
C 0.010 0.401 0.200 x1
C 0.171 0.179 0.478 x1
C 0.177 0.560 0.480 x1
C 0.199 0.595 0.008 x1
C 0.283 0.061 0.980 x1
C 0.390 0.400 0.199 x1
C 0.475 0.878 0.171 x1
C 0.506 0.283 0.699 x1
C 0.506 0.905 0.699 x1
C 0.672 0.681 0.975 x1
C 0.677 0.060 0.979 x1
C 0.699 0.093 0.509 x1
C 0.784 0.561 0.476 x1
C 0.891 0.902 0.699 x1
C 0.983 0.371 0.671 x1
O 0.001 0.397 0.868 x1
O 0.003 0.127 0.866 x1
O 0.048 0.171 0.485 x1
O 0.061 0.346 0.265 x1
O 0.070 0.606 0.007 x1
O 0.079 0.329 0.141 x1
O 0.102 0.634 0.538 x1
O 0.115 0.354 0.673 x1
O 0.130 0.611 0.413 x1
O 0.131 0.792 0.193 x1
O 0.163 0.582 0.806 x1
O 0.173 0.841 0.811 x1
O 0.211 0.715 0.006 x1
O 0.223 0.245 0.413 x1
O 0.226 0.987 0.038 x1
O 0.234 0.897 0.367 x1
O 0.244 0.119 0.536 x1
O 0.273 0.185 0.987 x1
O 0.294 0.712 0.675 x1
O 0.300 0.437 0.487 x1
O 0.316 0.467 0.013 x1
O 0.328 0.453 0.265 x1
O 0.348 0.010 0.913 x1
O 0.360 0.009 0.171 x1
O 0.363 0.766 0.502 x1
O 0.378 0.025 0.695 x1
O 0.399 0.273 0.194 x1
O 0.436 0.350 0.640 x1
O 0.439 0.580 0.813 x1
O 0.443 0.471 0.138 x1
O 0.450 0.215 0.761 x1
O 0.459 0.762 0.173 x1
O 0.501 0.897 0.368 x1
O 0.502 0.627 0.369 x1
O 0.549 0.673 0.982 x1
O 0.558 0.851 0.764 x1
O 0.571 0.105 0.506 x1
O 0.579 0.841 0.638 x1
O 0.604 0.134 0.038 x1
O 0.606 0.862 0.172 x1
O 0.629 0.112 0.914 x1
O 0.634 0.280 0.696 x1
O 0.663 0.082 0.305 x1
O 0.676 0.330 0.319 x1
O 0.711 0.214 0.506 x1
O 0.722 0.747 0.909 x1
O 0.725 0.488 0.533 x1
O 0.733 0.396 0.870 x1
O 0.747 0.621 0.032 x1
O 0.775 0.685 0.484 x1
O 0.800 0.937 0.987 x1
O 0.816 0.965 0.514 x1
O 0.820 0.185 0.175 x1
O 0.827 0.953 0.765 x1
O 0.851 0.510 0.410 x1
O 0.869 0.501 0.671 x1
O 0.871 0.259 0.002 x1
O 0.891 0.527 0.195 x1
O 0.898 0.779 0.692 x1
O 0.936 0.846 0.140 x1
O 0.949 0.082 0.306 x1
O 0.950 0.974 0.641 x1
O 0.956 0.714 0.260 x1
O 0.968 0.254 0.672 x1

Summary:
Calculated formation energy, eV per atom: -1.857
Crystal system: triclinic
Calculated total energy, eV for the cell shown: -704.53

=====

No. 2
********

US Agency for International Development (USAID)

Private Foundation or Development Organization

Bill and Melinda Gates Foundation

Childrens Investment Fund Foundation (CIFF)


BD (Becton Dickinson)

Intergovernmental Organizations and Multilaterals